Buckled Poster/Lithograph


CGF II, Certified Grumble Framer Level 2
Feb 23, 2004
Kennebunk, Maine

A client brought in an official Marvel Comics limited edition lithograph. In the lower margin of the print, there are signed pencil sketches of Spiderman and the Green Goblin. The mounting of choice in this case was T-hinging. It looked great when it left here and it went directly into an air-conditioned environment. The client called about a week later to inform me that the poster had gotten wavy. It indeed has and I can't really understand why. The waves begin at the top (where the hinges are) and travel downward. I feel quite confident that I didn't over moisten the hinge. I'm wondering if it's because I used 3 wide hinges along the top. I used 3 because of the large size of the poster. Can this be the problem? Or could it simply be the nature of the paper used? The stock is a light-mid-weight poster paper.

To fix it, I considered Artcare Restore with edgemounts for back-up but I can't get the whole thing in one bite in my small press.

Unless it was never rolled, which means it was shipped flat (and it hardly ever is) then the paper 'remembers' that it had been rolled and will revert to that wavy state occasionally (especially with the weird weather we have had this year...) I try to remember to warn every customer whose piece doesn't lie dead flat on the table of its own volition that there will be rippling, but this merely affirms the correct mounting procedures were used. Or sell them Restore mount.
I'd love to use Restore on this but is it possible to use Restore on projects requiring mulitiple bites in the press? The way I see it is that I'd have to do bite #1, remove it from the press and let it cool under weight for maximum bond. Then I'd have to stick it back in the press for bite #2... now wouldn't the bond release at the overlap because of second round of heat?

I very rarely cool my items under weight. Yeah I know the directions call for that, but I don't. I have not had one to return yet, I have been using the product since it came out.

I let them cool laying flat on their back. Within a few minutes you will know if the item bonded or not.

You can re-heat without fear of the item coming off. The release temperature is higher than the bonding temp.
I would re-mount it using 2 hinges first, and press it flat in your press before hand. Then refit as you usually do.

I would also ask if it was hung on an outside wall of the room...It has been very hot here and I assume it has been very hot there as well. It may have caused the buckeling as well with the heat behind the picture and the cool on the front...I know it can effect prints that way in the winter months with the cold on the back and warm on the front. And for all you know, they may have let the A/C blow directly on it...sometimes people just don't know how to care for their prints after they bring them home.
I would mount it as a last resort to the Restore...just because I would. Try the less invasive first. Maybe even hang it in your shop for while after you rehinge and refit just to see if it does the same thing and then choose your options from there.
Originally posted by Kittyfaces:
I'd love to use Restore on this but is it possible to use Restore on projects requiring mulitiple bites in the press? The way I see it is that I'd have to do bite #1, remove it from the press and let it cool under weight for maximum bond. Then I'd have to stick it back in the press for bite #2... now wouldn't the bond release at the overlap because of second round of heat?
You can do that. Like Jerry I'm in love with Restore. I do however weight the pieces, even in multiple clamps.
Thanks to all of your great input, I'm finally over my fear of using Restore for multiple-bite projects. I went for it (with back up hinges) and it looks gorgeous and feels sturdy. Thanks!
Restore might be a good alternative, we've taken multiple bites against suggestions but the release temperature is the same as the bonding temperature.... as in around 117 degrees it will start to bond or release with increased dwell time.

I recently have had some problems with Restore and have CEASED using it for many projects until I receive the results of the tests that Bainbridge is supposed to do on the samples that are in the mail to them. My most recent project which required a mount to be reversed appears to show the adhesive to be much more agressive than it was a year ago when I initially tested it. There was much of the artwork substrate left behind with the adhesive and no adhesive on the artwork because it tore the paper.

The last case of Restore alternated every other sheet out of Bainbridge published thickness spec. That, along with 6 mountings that released themselves that were directly against the glass for support and what appears to be a significantly more agressive adhesive are the concerns that have shelved it for use on customer's projects.
I've had one customer return so far because of a Restore failure, which was part of my hesitation to use it in this multiple-bite project. It was easy to fix because the print had been bonded for a year so when the bond broke, that baby was as flat as a pancake. So i just added hinges, reused the Restore board which provided a toothy grip and the fix looked beautiful. So on this project, I'm thinking if the bond fails, the T-hinges will take over and no one will ever know the difference.
I've done many multiple bite mountings with restore, but always use a release board with weights between mountings.

Jerry, I'm surprised you haven't had any problems without weighting. When I first started using ArtCare Restore and after recalibrating my press, I was a little negligent about letting the mount cool long enough under weights. The result was that I had 3 different jobs returned after varying degrees of mount failure. Popping them back into the press and letting them cool under weights until I felt no ambient temperature (usually about 5 minutes or so) eliminated the problem and I've had no problems since.

What comes next are calculated molecules, not part of the entry:
C6H17NO | ωB97M-V/def2-TZVPD

Structure (XYZ):
```
25
Properties=species:S:1:pos:R:3
O -3.4287 2.2349 -0.5676
N -1.3545 1.1295 1.1646
C -0.9946 -0.0687 0.4128
C 0.4422 -0.5547 0.4433
C 0.8249 -1.3423 -0.8149
C 1.7754 -0.4764 -1.6695
C -0.3449 2.1849 1.3360
C 1.5528 -2.6388 -0.4078
H 0.5092 1.8688 1.9559
H -3.7199 1.4929 -0.0267
H 0.8538 -3.2476 0.1696
H -0.0233 -1.6639 -1.3621
H 1.1457 0.2316 0.7225
H -1.8580 1.0814 2.0360
H 1.8855 0.5367 -1.2846
H 0.5932 -1.1536 1.3593
H -1.7437 -0.8134 0.6970
H 1.4064 -0.3065 -2.6858
H 0.1170 2.3871 0.3681
H -2.5775 2.4614 -0.1958
H 1.8435 -3.1645 -1.3163
H 2.4198 -2.4338 0.2127
H -0.8285 2.9982 1.8716
H 2.7763 -0.8926 -1.7897
H -1.2723 0.1491 -0.6283
```

Values from the calculation:
HOMO level, hartree: -0.31970
HOMO-LUMO gap, eV: 9.6
Energy above the lowest of the compared OMol25 structures with the same formula, charge and spin, kcal per mole: 25.7
Molecular weight, g mol⁻¹: 119.2
E_tot, eV: -10034.469
Max |F|, Eh/bohr: 0.0525

Here are the natural (NBO) charges for atoms 1 to 2, given in e: O -0.9474; N -0.6622

C6H17NO | ωB97M-V/def2-TZVPD

Structure (XYZ):
```
25
Properties=species:S:1:pos:R:3
O 0.3066 -1.4328 -2.3105
N -0.0005 0.0098 -0.0975
C 0.6959 -0.4106 2.2928
C 1.7972 1.4242 -1.1180
C -1.4157 -0.4092 -0.4300
C 0.0833 0.5619 1.2935
C 0.3078 1.0854 -1.0490
C -1.9858 -1.3310 0.6856
H 1.2415 -1.1599 1.7084
H 0.6512 1.4860 1.2233
H 0.4849 -0.6262 -2.8109
H 2.0605 2.2037 -0.4052
H 0.0105 -0.8141 3.0271
H -0.2076 2.0367 -0.8371
H -0.9520 0.7950 1.5492
H 0.7702 -1.3681 -1.4765
H -2.7266 -2.0206 0.2856
H -0.1641 0.8377 -1.9761
H -2.4351 -0.7615 1.4793
H -2.0305 0.4860 -0.5424
H 1.5800 0.0250 2.7726
H -1.1437 -1.9212 1.0222
H -1.3152 -1.1446 -1.2298
H 2.3937 0.5412 -0.9790
H 1.9934 1.9072 -2.0778
```

Values from the calculation:
HOMO level, hartree: -0.32994
HOMO-LUMO gap, eV: 10.0
Energy above the lowest of the compared OMol25 structures with the same formula, charge and spin, kcal per mole: 36.7
Molecular weight, g mol⁻¹: 119.2
E_tot, eV: -10033.992
Max |F|, Eh/bohr: 0.0492

Here are the natural (NBO) charges for atoms 1 to 2, given in e: O -0.9504; N -0.4717

C6H17NO | ωB97M-V/def2-TZVPD

Structure (XYZ):
```
25
Properties=species:S:1:pos:R:3
O 3.3057 -1.0056 1.1198
N -0.0996 0.4300 -0.8554
C -2.8928 0.0616 0.4245
C 0.7316 -0.6387 -1.2935
C -0.3948 0.5566 0.5751
C -1.8224 1.0978 0.7356
C 0.0954 -1.7712 -2.1265
C 0.6392 1.5149 1.2458
H -3.8912 0.4449 0.6035
H 1.1938 -1.1649 -0.4621
H -1.9231 1.4145 1.7694
H 1.1400 2.1283 0.4941
H 1.3663 0.9293 1.8125
H -2.8482 -0.2151 -0.6235
H 1.5648 -0.3130 -1.9211
H -2.7630 -0.8676 0.9898
H 0.7604 -2.6012 -2.3356
H 3.2924 -0.6952 2.0245
H -0.7661 -2.1940 -1.5830
H -0.7122 0.8517 -1.5433
H -1.8981 1.9974 0.1150
H -0.3469 -1.3618 -3.0493
H 0.1116 2.2207 1.8843
H -0.3457 -0.4581 0.9742
H 2.8730 -0.3663 0.5466
```

Values from the calculation:
HOMO level, hartree: -0.30186
HOMO-LUMO gap, eV: 9.2
So much for the calculated molecules:

A customer brought in an old photo of a turn of the century Mexican refugee camp 48"X8" on very heavy photo paper. It had many sections ripped away, some missing, and rips throughout the photo. It had been rolled into a 2" diameter tube for many many years. I advised her to take it to a paper conservator, but she requested I do my best to mount it anyway.

I weighted the photo for over three weeks with little success in flattening and one day decided to boldly mount it on Restore. Bainbridge does not recommend mounting this heavy of a paper on Restore, but I went forward anyway.

Many of the damaged areas did not bond well and began to curl away. I took a warm iron with release paper and spot mounted the trouble areas immediately putting heavy weights on the areas.

Three weeks later (she has yet to pick it up!) it still is flat as can be and holding up well.

I'll advise her not to leave it in a car in the sweltering sun. I let her know when she left it that I offered no guarantees.

Restore is truly a marvelous product.
Bainbridge. I'm beginning to think like Jerry that I may begin using it for all dry mounting.

Dave Makielski
Cool under weight!

Here's why:
The heat-activated adhesive bonds as it cools. When pressure is applied during cooling/bonding, the bond will be as strong as possible.

During heating, all hygroscopic materials in the mount "stack" (mount board, art paper, release paper/board) all expand in size -- but at different rates and by different amounts.

During cooling the expansion process reverses, becoming a contraction process. Again, the materials contract at different rates and by different amounts. Without weight, some materials may warp or cockle, if only temporarily, creating areas fo weakened bond.

Applying weight during coolng provides these benefits:
1. Keeps all materials flat and in full contact with one another until bonding is complete.
2. Covering the "stack" insulates - slows and lessens the differential of contraction, strengthening the bond.

As usual, there is a reason for the instructions to specify cooling under weight.
In addition to the factors that Jim mentioned, when heat is being used to bond paper materials,
there will be a release of moisture, initially
as the paper dries and this may impede the bond.
